Ashlyn Oakes

# Next to the text, the page also holds records of crystals
~~~
1.
Diffraction record for PmNd3Rh2. The PXRD pattern is theoretical, not measured: it uses the GGA-PBE geometry in Alexandria and Cu Kα (weighted mean of Kα1 and Kα2).
Intensities are scaled so that the largest is 100.

Peak list (10 most intense, 2θ from 10° to 90°, by intensity)
- 2θ = 31.97°, 2.799 Å, I = 100.0
- 2θ = 42.36°, 2.134 Å, I = 46.1
- 2θ = 26.26°, 3.394 Å, I = 35.7
- 2θ = 54.04°, 1.697 Å, I = 22.4
- 2θ = 49.14°, 1.854 Å, I = 19.7
- 2θ = 70.96°, 1.328 Å, I = 19.6
- 2θ = 15.50°, 5.717 Å, I = 14.3
- 2θ = 24.64°, 3.613 Å, I = 14.2
- 2θ = 53.60°, 1.710 Å, I = 10.2
- 2θ = 49.10°, 1.855 Å, I = 9.9

Cell and atoms:
Unit cell a=8.663 b=8.663 c=11.700 alpha=119.64 beta=119.64 gamma=28.53
Positions (direct):
Pm (0.064, 0.064, 0.185)
Pm (0.936, 0.936, 0.815)
Nd (0.184, 0.184, 0.558)
Nd (0.310, 0.310, 0.934)
Nd (0.439, 0.439, 0.310)
Nd (0.561, 0.561, 0.690)
Nd (0.690, 0.690, 0.066)
Nd (0.816, 0.816, 0.442)
Rh (0.124, 0.124, 0.879)
Rh (0.374, 0.374, 0.630)
Rh (0.626, 0.626, 0.370)
Rh (0.876, 0.876, 0.121)

2.
Diffraction record for PmNdSnRh. The PXRD pattern is theoretical, not measured: it uses the GGA-PBE geometry in Alexandria and Cu Kα (weighted mean of Kα1 and Kα2).
Intensities are scaled so that the largest is 100.

Peak list (10 most intense, 2θ from 10° to 90°, by intensity)
- 2θ = 30.16°, 2.963 Å, I = 100.0
- 2θ = 37.91°, 2.373 Å, I = 51.9
- 2θ = 31.31°, 2.857 Å, I = 32.3
- 2θ = 38.42°, 2.343 Å, I = 26.9
- 2θ = 40.76°, 2.214 Å, I = 25.7
- 2θ = 42.38°, 2.133 Å, I = 23.0
- 2θ = 31.92°, 2.804 Å, I = 21.3
- 2θ = 57.25°, 1.609 Å, I = 16.9
- 2θ = 60.25°, 1.536 Å, I = 16.3
- 2θ = 53.63°, 1.709 Å, I = 14.3

Cell and atoms:
Unit cell a=4.266 b=6.029 c=6.029 alpha=43.08 beta=90.00 gamma=90.00
Positions (direct):
Pm (0.000, 0.000, 0.000)
Nd (0.500, 0.708, 0.708)
Sn (0.000, 0.291, 0.291)
Rh (0.500, 0.452, 0.452)

3.
Diffraction record for Pm2Nd6Ru. The PXRD pattern is theoretical, not measured: it uses the GGA-PBE geometry in Alexandria and Cu Kα (weighted mean of Kα1 and Kα2).
Intensities are scaled so that the largest is 100.

Peak list (10 most intense, 2θ from 10° to 90°, by intensity)
- 2θ = 30.78°, 2.905 Å, I = 100.0
- 2θ = 28.90°, 3.090 Å, I = 30.4
- 2θ = 31.03°, 2.882 Å, I = 29.9
- 2θ = 48.33°, 1.883 Å, I = 22.5
- 2θ = 31.19°, 2.867 Å, I = 18.5
- 2θ = 27.09°, 3.292 Å, I = 15.5
- 2θ = 40.11°, 2.248 Å, I = 15.2
- 2θ = 52.32°, 1.749 Å, I = 13.1
- 2θ = 47.63°, 1.909 Å, I = 11.8
- 2θ = 52.47°, 1.744 Å, I = 11.8

Cell and atoms:
Unit cell a=3.819 b=8.937 c=8.993 alpha=92.85 beta=90.02 gamma=90.03
Positions (direct):
Pm (0.000, 0.199, 0.033)
Pm (0.000, 0.801, 0.967)
Nd (0.000, 0.274, 0.450)
Nd (0.000, 0.726, 0.550)
Nd (0.499, 0.466, 0.802)
Nd (0.500, 0.054, 0.715)
Nd (0.500, 0.946, 0.285)
Nd (0.501, 0.534, 0.198)
Ru (0.500, 0.500, 0.500)

4.
Diffraction record for PmNd2Ru. The PXRD pattern is theoretical, not measured: it uses the GGA-PBE geometry in Alexandria and Cu Kα (weighted mean of Kα1 and Kα2).
~~~

Almost every Saturday morning, I wake up at 6:30 a.m. and walk 20 minutes up Prospect Street to the New Haven Planned Parenthood clinic, where I volunteer as a clinic escort. Each time, I stand outside for three hours, watching the protestors who stand at the clinic gates. They display signs with gruesome, digitally altered images of dismembered fetuses, and I ensure they don’t trespass or harass patients more than they are legally entitled to. When a woman drives past them, they always surround her car, press leaflets on the windows and scream at her not to go inside. When she continues forward, the pleas turn to warnings about going to hell, or to racially offensive epithets; the protestors are almost always all white, but routinely tell black women that they are facilitating “the genocide of black babies.” Sometimes, the protestors have long-lens cameras and take pictures of all who enter, as well as of clinic staff and escorts. There are dozens of anti-choice websites and forums with pictures, descriptions and addresses of anyone connected with clinics that provide abortion services.

Sometimes, the pictures have crosshairs superimposed on people’s faces.

____________
(1)
The following is a simulated powder XRD pattern of CsCuPdSeS2. It was derived from a PBE-relaxed structure, using Cu Kα X-rays.

Main lines, most intense first (2θ from 10° to 80°):
30.6°, I = 100; 11.4°, I = 58; 35.1°, I = 44; 23.0°, I = 40; 20.8°, I = 35; 54.0°, I = 34; 39.7°, I = 28; 55.2°, I = 24; 48.6°, I = 21; 42.4°, I = 20

```
CsCuPdSeS2
1.0
1.888 -7.734 0.000
1.888 7.734 0.000
0.000 0.000 10.226
Cs Cu Pd Se S
2 2 2 2 4
Direct
0.248 0.752 0.750
0.752 0.248 0.250
0.456 0.544 0.250
0.544 0.456 0.750
0.000 0.000 0.000
0.000 0.000 0.500
0.054 0.946 0.250
0.946 0.054 0.750
0.403 0.597 0.044
0.403 0.597 0.456
0.597 0.403 0.544
0.597 0.403 0.956
```


(2)
The following is a simulated powder XRD pattern of CsCu3Te4Pd. It was derived from a PBE-relaxed structure, using Cu Kα X-rays.

Main lines, most intense first (2θ from 10° to 80°):
38.1°, I = 100; 23.1°, I = 89; 45.0°, I = 35; 18.8°, I = 29; 68.9°, I = 24; 32.9°, I = 23; 13.3°, I = 20; 51.2°, I = 17; 58.7°, I = 15; 55.0°, I = 14

```
CsCu3Te4Pd
1.0
6.677 0.000 0.000
0.000 6.677 0.000
0.000 0.000 6.677
Cs Cu Te Pd
1 3 4 1
Direct
0.000 0.000 0.000
0.000 0.500 0.500
0.500 0.000 0.500
0.500 0.500 0.000
0.282 0.282 0.282
0.282 0.718 0.718
0.718 0.282 0.718
0.718 0.718 0.282
0.500 0.500 0.500
```


(3)
The following is a simulated powder XRD pattern of CsPm2Cu3Se4S. It was derived from a PBE-relaxed structure, using Cu Kα X-rays.

Main lines, most intense first (2θ from 10° to 80°):
28.1°, I = 100; 28.6°, I = 91; 34.9°, I = 82; 30.5°, I = 81; 29.9°, I = 78; 43.6°, I = 75; 46.0°, I = 69; 38.8°, I = 49; 10.0°, I = 46; 27.0°, I = 43

```
CsPm2Cu3Se4S
1.0
2.075 -7.385 0.000
2.075 7.385 0.000
0.000 0.000 17.611
Cs Pm Cu Se S
2 4 6 8 2
Direct
0.065 0.935 0.750
0.935 0.065 0.250
0.193 0.807 0.094
0.193 0.807 0.406
0.807 0.193 0.594
0.807 0.193 0.906
0.333 0.667 0.750
0.415 0.585 0.027
0.415 0.585 0.473
0.585 0.415 0.527
0.585 0.415 0.973
0.667 0.333 0.250
0.164 0.836 0.570
0.164 0.836 0.930
0.443 0.557 0.613
0.443 0.557 0.887
0.557 0.443 0.113
0.557 0.443 0.387
0.836 0.164 0.070
0.836 0.164 0.430
0.230 0.770 0.250
0.770 0.230 0.750
```


(4)
The following is a simulated powder XRD pattern of CsPm2Cu3Se5. It was derived from a PBE-relaxed structure, using Cu Kα X-rays.

Main lines, most intense first (2θ from 10° to 80°):
28.4°, I = 100; 30.2°, I = 88; 29.8°, I = 72; 45.7°, I = 70; 43.2°, I = 69; 34.6°, I = 66; 28.0°, I = 63; 37.3°, I = 44; 49.4°, I = 36; 53.6°, I = 34

```
CsPm2Cu3Se5
1.0
2.094 -7.384 0.000
2.094 7.384 0.000
0.000 0.000 17.772
Cs Pm Cu Se
2 4 6 10
Direct
0.061 0.939 0.750
0.939 0.061 0.250
0.192 0.808 0.091
0.192 0.808 0.409
0.808 0.192 0.591
0.808 0.192 0.909
0.340 0.660 0.750
0.415 0.585 0.029
0.415 0.585 0.471
0.585 0.415 0.529
0.585 0.415 0.971
0.660 0.340 0.250
0.164 0.836 0.571
0.164 0.836 0.929
0.236 0.764 0.250
0.443 0.557 0.611
0.443 0.557 0.889
0.557 0.443 0.111
0.557 0.443 0.389
0.764 0.236 0.750
0.836 0.164 0.071
0.836 0.164 0.429
```


(5)
____________
Back to the page

Last Friday, a gunman opened fire at a Planned Parenthood clinic in Colorado Springs, Colorado, killing three people and injuring several more. This is merely the latest in several decades’ worth of bombings, anthrax threats, blockades and shootings at health centers that provide abortion services. This year alone, there have been arson attacks at Planned Parenthood clinics in four states. Protests and violence have intensified since the release earlier this year of heavily edited footage by the so-called “Center for Medical Progress,” which purported to show Planned Parenthood negotiating the sale of fetal body parts. Against all reason, the hysteria has continued even though Planned Parenthood has been unequivocally cleared of any wrongdoing by every state that investigated the videos.

The attack in Colorado is tragic and disturbing, but it is not surprising. It was the inevitable result of an increasingly extreme and fanatical anti-abortion movement, and of pro-life politicians either encouraging or willfully ignoring the dangerous shift in anti-choice rhetoric. Some anti-abortion activists celebrated the Colorado shooting on Twitter, calling the gunman a “brave hero” and saying the victims “deserved it.” The majority of anti-abortion organizations now support a ban on abortion with no exceptions for rape or incest, as do six Republican presidential candidates. Former Governor of Arkansas and Republican candidate Mike Huckabee even defended the government of Paraguay for refusing an abortion to an 11-year-old girl who had been raped by her stepfather. At what point did it become a legitimate political position to force women to give birth to the children of their rapists? When did we accept it as normal that a GOP debate could seem like a scene from The Handmaid’s Tale, in which women are treated as nothing more than reproductive vessels?

We can no longer pretend that the pro-life movement is comprised solely of harmless grandmothers reciting the Rosary, and we can no longer pretend that fantastical and violent anti-abortion rhetoric has no real-life effects. Eight doctors have been murdered since 1993 because they provided a health service to which women are constitutionally entitled. The media is already justifying the shooter’s actions as being the result of mental illness and portraying him as a disturbed lone wolf, completely ignoring the culture, misogyny and fanaticism that fosters and permits this kind of violence. It is time to call the extremist factions within the anti-abortion movement what they are: domestic terrorists. Though each individual is fundamentally entitled to hold his or her own belief towards abortion, the use of violence to intimidate women accessing reproductive healthcare — and doctors providing it — is morally reprehensible. It is time for pro-life people who do not support the shooting of abortion doctors to publicly reject those who do. It is time for politicians to end the demonization of abortions and the shaming of women who have them. We must end the propagation of false information, mandatory waiting periods and the funding of Crisis Pregnancy Centers, which intentionally mislead women. If we continue to be complacent about women’s reproductive rights, extremists will continue to push us back to an era of fear, shame and backstreet abortions.

Helen Price is a sophomore in Davenport College. Contact her at